**Request:**
The reader should echo the part of the lines further below that starts with the line with "-0.15349" and stops after the one with "-606.02761 a.u.".
**Listing:**
____________
Record 1
# C4H8O2

A cluster of 4 separate species, C4H8O2 in total in a non-equilibrium geometry (wB97M-V/def2-TZVPD, OMol25).

Cartesian coordinates (Å):
C: 1.76664 0.07106 -0.65022
C: 0.36659 0.58052 -0.40829
C: -0.23951 0.45666 0.82057
O: -1.28280 1.30248 1.11689
C: -1.39434 -1.28375 0.45667
O: -2.48450 -1.36005 0.82396
H: 1.96359 -0.04981 -1.72045
H: 1.92457 -0.90278 -0.17113
H: 2.51276 0.76499 -0.25006
H: -0.35008 -0.50038 -1.21920
H: -0.00275 1.39318 -1.02940
H: 0.32716 0.07917 1.67031
H: -1.85830 0.89970 1.78199
H: -0.79641 -1.22913 -1.10042

## Properties
HOMO-LUMO gap = 9.42 eV
Total energy = -307.54901 a.u.

=====

Record 2
# C6H8

The molecule C6H8 in a non-equilibrium geometry (wB97M-V/def2-TZVPD, OMol25).

Cartesian coordinates (Å):
C: -1.72374 0.54801 0.05886
C: -0.43729 0.54833 -0.78369
C: 0.98519 0.74522 -0.25020
C: 1.26639 -0.68497 0.30883
C: -0.07609 -1.21322 0.70687
C: -0.97446 -0.69478 -0.15349
H: -1.66524 0.90806 1.08261
H: -2.64645 0.76378 -0.46561
H: -0.59819 0.77008 -1.83982
H: 1.07751 1.59087 0.46140
H: 1.68843 0.97953 -1.05634
H: 2.16545 -0.81609 0.91751
H: -0.19517 -1.99014 1.45113
H: 1.18631 -1.48154 -0.46443

## Properties
HOMO-LUMO gap = 8.69 eV
Total energy = -233.27152 a.u.
SMILES string = C1=C2C[C@H]2CC1

=====

Record 3
# C2H3NOS

The molecule C2H3NOS in a non-equilibrium geometry (wB97M-V/def2-TZVPD, OMol25).

Cartesian coordinates (Å):
C: -1.59888 -0.01691 0.15912
C: 0.04565 -0.51710 -0.26851
N: -0.61348 0.80190 -0.25149
O: -4.08704 0.62669 -0.14119
S: -3.18456 -0.54549 0.09366
H: 0.56950 -0.85742 0.47815
H: -0.06888 -1.00025 -1.24758
H: -0.37178 1.84838 -0.14370

## Properties
HOMO-LUMO gap = 8.48 eV
Total energy = -606.02761 a.u.

=====

Number 3 is which compound?
C2H3NOS

=====

HOMO-LUMO gap of number 3 (C2H3NOS)?
8.48 eV

=====

Which value of HOMO-LUMO gap does entry 3 give?
8.48 eV

=====

Number 2 is which compound?
C6H8

* * * * *

Density functional theory data (ωB97M-V with the def2-TZVPD basis set) for C5H5FFeO4 as an isolated structure.

Geometry as ORCA input:
```
! RIJCOSX wB97M-V def2-TZVPD def2/J DEFGRID3
* xyz 2 7
C -0.65794 1.09657 -0.47646
C 0.69003 0.56285 -0.98564
O 0.89587 1.31496 -2.16254
C 0.23725 2.48256 -2.05540
O -0.62748 2.43064 -1.03728
O 0.39595 3.41754 -2.78432
O -0.90135 1.05422 0.79551
F -1.69765 0.46028 -1.17189
H 0.81472 -0.68602 -0.53370
Fe -0.87553 -0.09808 2.13837
H 1.53782 0.78550 -0.32679
C -0.37226 -2.79014 1.68067
C 0.47826 -1.79801 1.47102
H -1.45168 -2.95057 1.60380
H 0.03155 -3.73208 2.07812
H 1.50245 -1.55021 1.76652
*
```

The value obtained for the total energy is -1856.99734 a.u. Its gap between HOMO and LUMO (alpha / beta) is 7.213 / 3.448 eV. Its energy relative to the best compared isomer or geometry (same formula, charge and spin) is 158.0 kcal per mole.

These are the Löwdin partial charges, in e, on atoms 1 to 4: -0.560, 0.007, 0.178, -0.496

***

Density functional theory data (ωB97M-V with the def2-TZVPD basis set) for one molecule with the formula C5H5FOS.

Geometry as ORCA input:
```
! RIJCOSX wB97M-V def2-TZVPD def2/J DEFGRID3
* xyz 0 1
C -2.65177 -0.78114 0.04270
C -1.72768 0.24250 0.06028
C 0.51491 1.06986 -0.07812
C 1.84686 0.68031 -0.01135
C 2.31803 -0.66768 0.10915
H -3.69439 -0.61151 0.21963
H -2.16730 1.23769 0.14953
H 0.13690 2.06396 -0.27127
H 2.52647 1.47611 -0.05669
H 1.69223 -1.53172 0.24686
O -0.35175 0.05138 -0.22397
F -2.32723 -2.05528 -0.12503
S 3.88469 -1.17449 -0.06173
*
```

As for the SMILES: F/C=C\O/C=C\C=S. The value obtained for the total energy is -766.70853 a.u. Its gap between HOMO and LUMO is 7.684 eV. Its energy relative to the best compared isomer or geometry (same formula, charge and spin) is 63.3 kcal per mole.

These are the Löwdin partial charges, in e, on atoms 1 to 4: -0.123, -0.060, -0.094, -0.151

***

Density functional theory data (ωB97M-V with the def2-TZVPD basis set) for one molecule with the formula C5H5FS.

Geometry as ORCA input:
```
! RIJCOSX wB97M-V def2-TZVPD def2/J DEFGRID3
____________
**Done:**
C: -0.97446 -0.69478 -0.15349
H: -1.66524 0.90806 1.08261
H: -2.64645 0.76378 -0.46561
H: -0.59819 0.77008 -1.83982
H: 1.07751 1.59087 0.46140
H: 1.68843 0.97953 -1.05634
H: 2.16545 -0.81609 0.91751
H: -0.19517 -1.99014 1.45113
H: 1.18631 -1.48154 -0.46443

## Properties
HOMO-LUMO gap = 8.69 eV
Total energy = -233.27152 a.u.
SMILES string = C1=C2C[C@H]2CC1

=====

Record 3
# C2H3NOS

The molecule C2H3NOS in a non-equilibrium geometry (wB97M-V/def2-TZVPD, OMol25).

Cartesian coordinates (Å):
C: -1.59888 -0.01691 0.15912
C: 0.04565 -0.51710 -0.26851
N: -0.61348 0.80190 -0.25149
O: -4.08704 0.62669 -0.14119
S: -3.18456 -0.54549 0.09366
H: 0.56950 -0.85742 0.47815
H: -0.06888 -1.00025 -1.24758
H: -0.37178 1.84838 -0.14370

## Properties
HOMO-LUMO gap = 8.48 eV
Total energy = -606.02761 a.u.